Contents:
~~~
Entry 1:
! Er2Hf2O7 (PBE-GGA, relaxed); values from VASP
! - mass density (g/cm3) = 9.34
! - energy of formation from the pure elements (meV per atom) = -4010
! - energy with MP2020 corrections (eV/atom) = -9.800
&SYSTEM
  ibrav = 0, nat = 22, ntyp = 3
/
ATOMIC_SPECIES
Er 167.26 Er.upf
Hf 178.49 Hf.upf
O 16.00 O.upf
CELL_PARAMETERS angstrom
5.603 3.245 3.566
-0.902 2.332 6.956
3.385 -3.523 5.547
ATOMIC_POSITIONS crystal
Er 0.625 0.625 0.125
Er 0.625 0.625 0.625
Er 0.125 0.625 0.625
Er 0.625 0.125 0.625
Hf 0.125 0.125 0.125
Hf 0.625 0.125 0.125
Hf 0.125 0.125 0.625
Hf 0.125 0.625 0.125
O 0.035 0.465 0.035
O 0.215 0.785 0.785
O 0.215 0.785 0.215
O 0.035 0.035 0.465
O 0.785 0.785 0.215
O 0.785 0.215 0.215
O 0.465 0.035 0.035
O 0.465 0.035 0.465
O 0.215 0.215 0.785
O 0.750 0.750 0.750
O 0.035 0.465 0.465
O 0.465 0.465 0.035
O 0.785 0.215 0.785
O 0.500 0.500 0.500

---

Entry 2:
! ErHfRu2 (PBE-GGA, relaxed); values from VASP
! - mass density (g/cm3) = 12.63
! - energy of formation from the pure elements (meV per atom) = -605
&SYSTEM
  ibrav = 0, nat = 4, ntyp = 3
/
ATOMIC_SPECIES
Er 167.26 Er.upf
Hf 178.49 Hf.upf
Ru 101.07 Ru.upf
CELL_PARAMETERS angstrom
0.000 3.303 3.303
3.303 0.000 3.303
3.303 3.303 0.000
ATOMIC_POSITIONS crystal
Er 0.500 0.500 0.500
Hf 0.000 0.000 0.000
Ru 0.250 0.250 0.250
Ru 0.750 0.750 0.750

---

Entry 3:
! Er2HfS5 (PBE-GGA, relaxed); values from VASP
! - mass density (g/cm3) = 7.01
! - energy of formation from the pure elements (meV per atom) = -2173
! - energy with MP2020 corrections (eV/atom) = -7.145
&SYSTEM
  ibrav = 0, nat = 32, ntyp = 3
/
ATOMIC_SPECIES
Er 167.26 Er.upf
Hf 178.49 Hf.upf
S 32.06 S.upf
CELL_PARAMETERS angstrom
-4.106 -2.605 5.329
3.967 -6.573 -0.157
7.368 4.261 7.760
ATOMIC_POSITIONS crystal
Er 0.524 0.003 0.322
Er 0.976 0.497 0.822
Er 0.476 0.503 0.678
Er 0.024 0.997 0.178
Er 0.476 0.997 0.678
Er 0.024 0.503 0.178
Er 0.524 0.497 0.322
Er 0.976 0.003 0.822
Hf 0.075 0.750 0.494
Hf 0.425 0.750 0.994
Hf 0.925 0.250 0.506
Hf 0.575 0.250 0.006
S 0.839 0.536 0.595
S 0.661 0.964 0.095
S 0.161 0.036 0.405
S 0.339 0.464 0.905
S 0.161 0.464 0.405
S 0.339 0.036 0.905
S 0.839 0.964 0.595
S 0.661 0.536 0.095
S 0.832 0.750 0.319
S 0.668 0.750 0.819
S 0.168 0.250 0.681
S 0.332 0.250 0.181
S 0.448 0.750 0.497
S 0.052 0.750 0.997
S 0.552 0.250 0.503
S 0.948 0.250 0.003
S 0.189 0.750 0.707
S 0.311 0.750 0.207
S 0.811 0.250 0.293
S 0.689 0.250 0.793

---

Entry 4:
! ErHg3 (PBE-GGA, relaxed); values from VASP
! - mass density (g/cm3) = 13.37
! - energy of formation from the pure elements (meV per atom) = -326
&SYSTEM
  ibrav = 0, nat = 8, ntyp = 2
/
ATOMIC_SPECIES
Er 167.26 Er.upf
Hg 200.59 Hg.upf
CELL_PARAMETERS angstrom
-4.085 5.023 1.501
2.422 -3.871 4.829
3.924 3.049 0.476
ATOMIC_POSITIONS crystal
Er 0.333 0.667 0.750
Er 0.667 0.333 0.250
Hg 0.167 0.334 0.250
Hg 0.666 0.833 0.250
Hg 0.167 0.833 0.250
Hg 0.833 0.666 0.750
Hg 0.334 0.167 0.750
Hg 0.833 0.167 0.750

---

Entry 5:
! LiErHg2 (PBE-GGA, relaxed); values from VASP
! - mass density (g/cm3) = 10.77
! - energy of formation from the pure elements (meV per atom) = -432
&SYSTEM
  ibrav = 0, nat = 4, ntyp = 3
/
ATOMIC_SPECIES
Li 6.94 Li.upf
Er 167.26 Er.upf
Hg 200.59 Hg.upf
CELL_PARAMETERS angstrom
0.000 3.540 3.540
3.540 0.000 3.540
3.540 3.540 0.000
ATOMIC_POSITIONS crystal
Li 0.000 0.000 0.000
Er 0.500 0.500 0.500
Hg 0.250 0.250 0.250
Hg 0.750 0.750 0.750

---

Entry 6:
! ErLuHg2 (PBE-GGA, relaxed); values from VASP
! - mass density (g/cm3) = 12.46
! - energy of formation from the pure elements (meV per atom) = -473
&SYSTEM
  ibrav = 0, nat = 4, ntyp = 3
/
ATOMIC_SPECIES
Er 167.26 Er.upf
Lu 174.97 Lu.upf
Hg 200.59 Hg.upf
CELL_PARAMETERS angstrom
0.000 3.672 3.672
3.672 0.000 3.672
3.672 3.672 0.000
ATOMIC_POSITIONS crystal
Er 0.500 0.500 0.500
Lu 0.000 0.000 0.000
Hg 0.250 0.250 0.250
Hg 0.750 0.750 0.750

---

Entry 7:
! SmErHg2 (PBE-GGA, relaxed); values from VASP
! - mass density (g/cm3) = 11.26
~~~
Activity:
Now filter the material further up: keep the lines with the word "Entry".
Worked solution:
Entry 1:
Entry 2:
Entry 3:
Entry 4:
Entry 5:
Entry 6:
Entry 7: